7 Weirdest Murders Of 19th Century England

I have what is probably a not-very-healthy fascination with 19th century crime. In addition to what are generally regarded as the first serial murders (the Whitechapel killings of 1888), the century saw a rash of strange cases, involving body-snatching and poison, brought on by rage and greed; some appear to be brutal crimes of passion, and others, methodically planned offenses. In England, this era was also a transformative stage in criminology and law enforcement that included the rise of modern forensics and the birth of a nationwide police force. British people in the 19th century exhibited an intense public fascination with crime—and murder specifically—which was manifested in both the rise of the detective story and an explosion of news coverage of real crimes, sensational enough to rival any melodramatic crime novel. These contemporary accounts of murders and their subsequent trials tell us much, not only about actual crimes of the period, but about how people in the 19th century thought about violence, class, gender, science, and a host of other subjects. The way people understood these social aberrations were reflections of their society's own broad anxieties and desires.
Keep reading for 7 strange, significant murder cases that made waves in England in the 19th century. One of my primary sources for this list is Judith Flanders’s excellent book, The Invention of Murder . If you’re interested in Victorian culture, crime, and the rise of modern forensics (which you must be because you clicked on this post), it’s definitely worth a read.
Burke and Hare
### Next to the text, the page also holds data records
Entry 1:
Entry from the Open Molecules 2025 dataset: the molecule C3H7ClN2Si in a non-equilibrium geometry (ωB97M-V with the def2-TZVPD basis set).

Last column: Mulliken charge in e.
Positions of all 14 atoms, in Å:
C -1.03238 1.27119 -0.80771  0.22
C -2.18929 0.90436 -0.03997  -0.79
C 2.18372 -0.70852 0.11869  -0.85
N 0.19433 1.32500 -0.55715  -0.50
N -0.44315 -0.19135 1.58967  -0.53
Si 0.88272 0.48306 0.79877  0.55
Cl 1.76415 1.91529 1.80997  -0.25
H -1.35370 1.67995 -1.74449  0.39
H -2.67874 0.04072 -0.15905  0.41
H -2.74982 1.59466 0.65700  0.28
H 2.59449 -1.31702 0.91577  0.31
H 1.75528 -1.37100 -0.74476  0.24
H 3.15974 -0.19539 -0.29310  0.24
H -0.87010 -1.06801 1.33447  0.29

Forces on atoms 1 to 3 (eV/Å):
C 0.330 1.009 -0.186
C 1.030 2.324 3.503
C 1.012 0.231 -1.889

Summary:
Energy: -26603.151 eV
Energy relative to the best compared isomer or geometry (same formula, charge and spin): 436.0 kJ/mol
Lowest unoccupied orbital energy (spin up / spin down): -0.0147 / -0.0504 Eh
2S+1: 1

---

Entry 2:
Entry from the Open Molecules 2025 dataset: a cluster of 2 separate species, C3H7ClN2Si in total in a non-equilibrium geometry (ωB97M-V with the def2-TZVPD basis set).

Last column: Mulliken charge in e.
Positions of all 14 atoms, in Å:
C -1.29667 -1.25516 -1.03459  -0.06
C -0.49813 -1.95508 0.06454  -0.32
C 0.94615 2.54285 -0.14177  -1.14
N -1.94769 -0.23312 -0.70937  -0.43
N -0.78278 -1.19765 1.27257  -0.20
Si -1.62287 0.29974 0.94363  0.13
Cl -3.05673 1.11853 2.09982  -0.22
H -1.53807 -1.69146 -2.05944  0.32
H -0.73222 -3.02050 0.25924  0.31
H 0.58319 -1.94583 -0.24622  0.19
H 0.63881 3.30004 0.48493  0.36
H 1.67866 2.13121 0.43737  0.41
H 0.66123 2.57774 -1.15284  0.35
H -0.76125 -1.85016 2.09148  0.28

Forces on atoms 1 to 3 (eV/Å):
C -1.203 -1.490 -0.500
C 0.641 -0.171 -0.494
C -1.350 0.367 0.231

Summary:
Energy: -26602.541 eV
Energy relative to the best compared isomer or geometry (same formula, charge and spin): 494.9 kJ/mol
Lowest unoccupied orbital energy (spin up / spin down): -0.0073 / 0.0120 Eh
2S+1: 1

---

Entry 3:
Entry from the Open Molecules 2025 dataset: the molecule C3H7ClN4 in a non-equilibrium geometry (ωB97M-V with the def2-TZVPD basis set).

Last column: Mulliken charge in e.
Positions of all 15 atoms, in Å:
N 0.91963 1.52723 -1.26893  -0.44
N 0.24921 2.19043 -0.37008  -0.44
C -0.21547 1.62050 0.65406  -0.20
C -0.11890 0.13720 0.99190  0.00
Cl 0.63226 -0.13771 2.61225  -0.26
C -0.44500 -0.93223 0.21472  0.34
N -0.76330 -2.24790 0.68793  -0.57
N -0.65137 -0.96922 -1.11816  -0.55
H 1.43963 0.65304 -0.91263  0.25
H 1.65666 2.19206 -1.57751  0.30
H -0.41814 2.42428 1.45689  0.34
H -0.56149 -2.33580 1.65171  0.27
H -0.16387 -2.99240 0.12648  0.27
H 0.11662 -0.11611 -1.63259  0.42
H -1.67646 -1.01336 -1.51603  0.25

Forces on atoms 1 to 3 (eV/Å):
N 3.676 -1.931 -2.355
N -1.132 1.579 1.747
C 0.187 -0.058 2.161

Summary:
Energy: -21704.120 eV
In early 19th-century England, being executed as a criminal meant that your body could also be given to a medical school for dissection. These executed criminals were the only source of cadavers available for this research, and there weren’t enough of them to keep up with the demand of scientists and medical students. An underground market of “resurrectionists” developed, wherein people would dig up recently buried bodies and sell them to medical schools. Even then, however, the need for fresh bodies was high, so in 1828, William Burke and William Hare began to take advantage of it by selling the bodies of people they’d murdered.
Their “business” began when a tenant of Hare died of natural causes, still owing him rent. They sold the body to a doctor for over seven pounds, which at that time was equivalent to six month’s wages for an unskilled worker. Not willing to let the opportunity pass, they began luring people into their lodgings, murdering them (usually by getting them drunk and then suffocating them), and selling the bodies. All of the bodies went to the same doctor, Dr. Knox, who seemed remarkably unconcerned about where these corpses were coming from. One of the victims, a teenager named “Daft Jamie” was well known in town and clearly recognizable, so Knox and his students dissected all the faster to mask his identity. Burke and Hare murdered at least five people (probably more). When they were finally caught, Hare was granted immunity for giving evidence on Burke to the prosecution. Burke was hanged and, with a bit of poetic justice, publicly dissected. Hare eventually disappeared.
Eleanor Pearcey
Eleanor Pearcey brutally murdered her lover’s wife and child in 1890. She had been having an affair with Frank Hogg for a number of years; after he married his wife, Phoebe, Pearcey became a friend of the family, even as she continued the affair with Frank. On October 24, 1890, Mrs. Hogg visited Pearcey with her infant daughter. Later that night, Pearcey was seen wheeling a pram around the streets. It would eventually be revealed that she was disposing of the bodies of Mrs. Hogg and her daughter. When the police went to Pearcey’s home to question her, they found splashes of blood everywhere—the floor, window, even the ceiling, as well as on knives and a poker. Mrs. Pearcey’s explanation was that she had had a nosebleed, and that she had been killing mice. Unsurprisingly, the police did not believe her.
Dr. Thomas Neill Cream
Born in Scotland and raised in Canada, Dr. Thomas Neill Cream killed multiple people by poison in Canada and the U.S. before fleeing to England. From October 1891 to April 1892, Cream killed four female prostitutes via poisoning. The motivation for the killings isn’t clear. When he murdered his last two victims, he didn’t even wait to see them die; he simply poisoned their drinks and left before the strychnine he’d added took effect. His eventual downfall was his seeming inability to shut up about the murders. He wrote anonymous letters to the police accusing other people of committing the crimes, and even gave a visiting American policeman a tour of where the mysterious killer’s victims had died. He was caught and hanged. There are unconfirmed stories that, just before being executed, he confessed to being Jack the Ripper, but given the fact that he was in the U.S. when the Ripper murders occurred, his being the mysterious Ripper seems fairly impossible.
Eliza Fenning
Eliza Fenning is remarkable, not because of the horrible crimes she committed, but because of the fact that she was convicted of attempted murder with no evidence and no victims. In 1815, Fenning worked as a cook for a family named “Turner.” She prepared dumplings for the family’s supper one night, and after eating them, five people—including Eliza Fenning—became ill. Everyone recovered quickly, but the next day a doctor conducted a series of tests on the leftover dumplings that, according to him, confirmed that there was arsenic in them. (In 1815, no definitive tests existed to identify small quantities of arsenic. Flanders remarks that a forensic pathologist she consulted “doubts very much that any of [these] tests would indicate the presence of arsenic.") On this non-existent evidence, Fenning was accused and convicted of attempted murder. She was hanged. Flanders suggests that class played a major role in the conviction; because Fenning was a servant, her defense didn’t matter. A middle class family accused her, and that was all the evidence needed.
Madeleine Smith
Flanders points out that middle and upper class people experienced very different treatment from the courts than their lower class brethren. A good example of this is Madeleine Smith. Smith was the upper-middle classed, teenaged daughter of an architect in Glasgow. She had an extended, secret affair with a clerk, Emile L’Angelier. In the mid-1850s, hundreds of letters passed between the couple, and they became lovers by 1856. In 1857, Smith was set by her parents to marry another, wealthier man, and suddenly her exciting, secret affair became a burden. When Smith tried to break things off, L’Angelier threatened to tell her father about their relationship.
A few weeks later, L’Angelier died shortly after a meeting with Smith. The police discovered her letters to him and learned the she had purchased arsenic before his death. According to Flanders, the press had a hard time believing that this gently bred, educated young woman could be a murderer, and were much less aggressive in reporting this crime than Eliza Fenning’s alleged attempted murders. They also placed blame on L’Angelier, who was, after all, of “French extraction” and therefore a foreigner. The trial was a jumbled mess, and resulted in a verdict of “not proven.”
William Palmer
Dr. William Palmer appears to have been a thoroughly terrible person. Quite a few people in his life died in suspicious circumstances before anyone took notice: His mother-in-law died two weeks after coming to live with Palmer and his wife; He later took out a pricey life insurance policy on his wife, only to have her die shortly after; He also took out an insurance policy on his brother, who also died shortly thereafter. Furthermore, he had four children all die in infancy (not something that was terribly uncommon on the 19th century, but it certainly looks suspicious given the rest of his activities).
People finally took notice of his murderous tendencies when he killed John Cook, a friend Palmer knew through horse racing. In 1855, Cook won a substantial amount of money on the racecourse. That night, Cook and Palmer had a drink together, after which Cook complained of being ill. A few days later, Cook and Palmer hung out again, with Cook becoming ill again. A few days after that, Palmer fed Cook once again, and Cook finally died of poisoning. Suspicion fell on Palmer when Cook’s father came for his son and discovered that his betting book and money had all gone missing.
Strangely, Palmer was allowed to attend the post-mortem, and the scene sounds like a dark comedy: Palmer created a mess by knocking the contents of the stomach on the floor, while the assistant to the medical student performing the examination was allegedly drunk. Palmer also tried to bribe multiple people to destroy evidence and get rid of reports. Thousands of people watched him hang in 1856.
Jack the Ripper
Jack the Ripper is an exception on this list, because he is the only criminal among these 7 who was never identified. Jack the Ripper is famous as the original serial killer, brutally murdering (at least) five prostitutes in the East End of London throughout the autumn of 1888. Whereas previous murders, like the others described here, occurred within certain understood parameters—motivated by greed, jealously, and so on—the Whitechapel murders were inexplicable. Although the “serial killer” is now an established criminal type, people in 1888 simply didn’t have a framework for someone who killed people with incredible violence, just for the "fun" of it. With almost no evidence, and no trial to cover, the news reports reflected the public’s general sense of bafflement:
In the Whitechapel murders we have not … one single clue, or even fragment of a clue - … we are thus left to weave the merest figments of fancy, and to form unpleasant visions of roving lunatics distraught with homicidal mania or bloodthirsty lust; of abandoned desperadoes wreaking their thirst for slaughter on forlorn and hopeless women, the wretchedest and most pitiable of their sex, to satisfy some inscrutably foul and crapulous vendetta; or, finally, we may dream of monsters, or ogres, and chimeras … (The Daily Telegraph, Oct. 2, 1888)
The Ripper continues to be England’s most famous criminal, spawning countless books and theories, as well as a London tourist industry. (I have taken a Jack the Ripper walking tour of the East End, and I have to say, it’s mostly parking lots these days.)
Images: Kim Traynor, Cussi Cussi, Ras67, mervyn, Wellcome Library, London, Grenavitar/Wikimedia